RealityAware Tokens

Hrishikesh Huilgolkar
Razor Network
Published in
4 min readMay 21, 2020

Razor Network team is proud to announce a new paradigm of decentralized finance.

# Data records from another source follow
<<<
# 1
Computed, not measured: a geometry-optimized NbNiP structure at the meta-GGA r2SCAN level of DFT.

Geometry as POSCAR:
```
NbNiP
1.0
6.1308 0.0000 0.0000
0.0000 3.5888 0.0000
0.0000 0.0000 7.0734
Nb Ni P
4 4 4
Direct
0.0206 0.2500 0.1669
0.4794 0.7500 0.6669
0.5206 0.2500 0.3331
0.9794 0.7500 0.8331
0.1507 0.2500 0.5685
0.3493 0.7500 0.0685
0.6507 0.2500 0.9315
0.8493 0.7500 0.4315
0.2149 0.7500 0.3798
0.2851 0.2500 0.8798
0.7149 0.7500 0.1202
0.7851 0.2500 0.6202
```

## Properties
The space group is Pnma, No. 62. The calculation puts the energy relative to the elements at -0.868 eV per atom. The spin magnetization is 0.00 μB/f.u.

***

# 2
Computed, not measured: a geometry-optimized Nb6Si7Ni16 structure at the meta-GGA r2SCAN level of DFT.

Geometry as POSCAR:
```
Nb6Si7Ni16
1.0
0.0000 5.5924 5.5924
5.5924 0.0000 5.5924
5.5924 5.5924 0.0000
Nb Si Ni
6 7 16
Direct
0.2042 0.2042 0.7958
0.2042 0.7958 0.2042
0.2042 0.7958 0.7958
0.7958 0.2042 0.2042
0.7958 0.2042 0.7958
0.7958 0.7958 0.2042
0.0000 0.0000 0.5000
0.0000 0.5000 0.0000
0.0000 0.5000 0.5000
0.5000 0.0000 0.0000
0.5000 0.0000 0.5000
0.5000 0.5000 0.0000
0.5000 0.5000 0.5000
0.1497 0.6168 0.6168
0.1686 0.1686 0.1686
0.1686 0.1686 0.4943
0.1686 0.4943 0.1686
0.3832 0.3832 0.3832
0.3832 0.3832 0.8503
0.3832 0.8503 0.3832
0.4943 0.1686 0.1686
0.5057 0.8314 0.8314
0.6168 0.1497 0.6168
0.6168 0.6168 0.1497
0.6168 0.6168 0.6168
0.8314 0.5057 0.8314
0.8314 0.8314 0.5057
0.8314 0.8314 0.8314
0.8503 0.3832 0.3832
```

## Properties
The space group is Fm-3m, No. 225. The calculation puts the energy relative to the elements at -0.603 eV per atom. The spin magnetization is 0.00 μB/f.u.

***

# 3
Computed, not measured: a geometry-optimized NbNiTe2 structure at the meta-GGA r2SCAN level of DFT.

Geometry as POSCAR:
```
NbNiTe2
1.0
7.9829 0.0000 0.0000
0.0000 7.5024 0.0000
0.0000 0.0000 6.3390
Nb Ni Te
4 4 8
Direct
0.2050 0.0000 0.0000
0.2950 0.0000 0.5000
0.7050 0.0000 0.5000
0.7950 0.0000 0.0000
0.0000 0.1165 0.3580
0.0000 0.8835 0.6420
0.5000 0.1165 0.1420
0.5000 0.8835 0.8580
0.0000 0.2153 0.7494
0.0000 0.7847 0.2506
0.2500 0.3090 0.2500
0.2500 0.6910 0.7500
0.5000 0.2153 0.7506
0.5000 0.7847 0.2494
0.7500 0.3090 0.2500
0.7500 0.6910 0.7500
```

## Properties
The space group is Pmna, No. 53. The calculation puts the energy relative to the elements at -0.484 eV per atom. The spin magnetization is 0.00 μB/f.u.

***

# 4
Computed, not measured: a geometry-optimized Nb2O5 structure at the meta-GGA r2SCAN level of DFT.

Geometry as POSCAR:
```
Nb2O5
1.0
6.5037 -1.9294 0.0000
6.5037 1.9294 0.0000
-0.0588 0.0000 4.0182
Nb O
2 5
Direct
0.1465 0.1465 0.0681
0.8535 0.8535 0.9319
0.0000 0.0000 0.0000
0.1490 0.1490 0.5156
0.3149 0.3149 0.9946
0.6851 0.6851 0.0054
0.8510 0.8510 0.4844
```

## Properties
The space group is C2/m, No. 12. The calculation puts the energy relative to the elements at -2.724 eV per atom. The spin magnetization is 0.00 μB/f.u.

***

# 5
>>>

RealityAware Tokens are a new lean way to do finance. We are bringing a new standard for tokens, which can be used for creating next-generation decentralized applications with less effort.

RealityAware Tokens are aware of real-world events and can react differently depending on real-world events or data. Let’s take a look at traditional finance and how it compares to the current and next-gen DeFi.

Traditional Finance

Traditional finance consists of counterparties who sign an agreement and the Judicial system, which interprets the contract and enforces it.

Traditional finance

Traditional finance has counterparty risks. Paper contracts can be ambiguous and expensive to prepare. It can take a lot of time and financial resources to resolve disputes.

Current generation Decentralized Finance

**The article is interrupted by crystal structures:**
(a)
Computed, not measured: a relaxed structure of Li7V3P8O29 at the PBE+U level of DFT.

a = 9.8352 Å, b = 9.8533 Å, c = 13.9323 Å
α = 89.69°, β = 89.57°, γ = 60.07°
With the nearest neighbours (Å) after each atom.
Space group P1 (No. 1)
Asymmetric unit:
Li 0.0000 0.0000 0.0000  4 O 2.00-2.09
Li 0.0033 0.5612 0.4964  4 O 1.97-2.15
Li 0.1476 0.1588 0.9197  2 O 1.92-1.97
Li 0.1772 0.1614 0.4552  2 O 1.91-1.97
Li 0.1911 0.4639 0.8736  4 O 1.99-2.09
Li 0.1948 0.8935 0.3723  4 O 1.93-2.15
Li 0.3293 0.3251 0.3695  4 O 1.97-2.06
Li 0.4244 0.1390 0.9997  4 O 1.94-2.13
Li 0.4285 0.5762 0.5495  1 O 1.87
Li 0.7484 0.3413 0.8837  3 O 1.97-2.15
Li 0.7657 0.8912 0.8212  1 O 1.87
Li 0.7844 0.4553 0.3725  3 O 1.98-2.04
Li 0.8623 0.5578 0.9979  3 O 1.98-2.07
Li 0.8652 0.1326 0.4931  3 O 1.99-2.03
V 0.0968 0.6679 0.6886  6 O 2.02-2.06
V 0.0974 0.7987 0.1832  6 O 1.89-2.00
V 0.5294 0.8016 0.6846  6 O 1.87-2.03
V 0.5305 0.2307 0.1851  6 O 1.97-2.07
V 0.6564 0.6708 0.1870  6 O 1.91-2.03
V 0.6607 0.2317 0.6814  6 O 1.84-2.03
P 0.0068 0.5505 0.2775  4 O 1.51-1.62
P 0.1816 0.4628 0.0919  4 O 1.51-1.61
P 0.1876 0.9176 0.5963  4 O 1.52-1.61
P 0.3215 0.3216 0.5883  4 O 1.50-1.62
P 0.3219 0.9237 0.0913  4 O 1.50-1.61
P 0.4027 0.0066 0.2791  4 O 1.50-1.62
P 0.4105 0.1421 0.7755  4 O 1.52-1.61
P 0.4286 0.5677 0.3074  4 O 1.51-1.59
P 0.4400 0.5612 0.8069  4 O 1.49-1.60
P 0.7653 0.8948 0.0629  4 O 1.51-1.58
P 0.7645 0.8973 0.5620  4 O 1.48-1.61
P 0.7795 0.4608 0.5908  4 O 1.51-1.61
P 0.7837 0.3205 0.0947  4 O 1.51-1.63
P 0.8665 0.5478 0.7790  4 O 1.51-1.62
P 0.8698 0.1414 0.2771  4 O 1.51-1.62
P 0.9991 0.0101 0.7814  4 O 1.50-1.62
O 0.0038 0.7061 0.2637  1 P 1.53
O 0.0170 0.5585 0.7794  1 P 1.54
O 0.0187 0.9742 0.2733  1 P 1.57
O 0.0841 0.0113 0.8704  1 P 1.50
O 0.0912 0.4438 0.1837  2 P 1.61-1.62
O 0.0914 0.4739 0.0018  1 P 1.51
O 0.0924 0.0206 0.6883  2 P 1.61-1.62
O 0.0963 0.4616 0.3658  1 P 1.51
O 0.0978 0.0076 0.5072  1 P 1.53
O 0.1777 0.4864 0.5938  1 P 1.53
O 0.1811 0.8936 0.0913  1 P 1.55
O 0.1895 0.6143 0.1089  1 P 1.55
O 0.2066 0.7529 0.6051  1 P 1.54
O 0.2841 0.5660 0.7815  1 P 1.55
O 0.2866 0.7210 0.2664  1 P 1.57
O 0.2973 0.0257 0.1861  2 P 1.61-1.62
O 0.3085 0.0055 0.3643  1 P 1.50
O 0.3093 0.2312 0.6823  2 P 1.61-1.62
O 0.3103 0.0257 0.0075  1 P 1.50
O 0.3169 0.2380 0.4996  1 P 1.50
O 0.3186 0.2315 0.8641  1 P 1.52
O 0.3447 0.3178 0.0911  1 P 1.53
O 0.3488 0.9043 0.5980  1 P 1.52
O 0.4202 0.4222 0.2758  1 P 1.54
O 0.4241 0.1500 0.2773  1 P 1.53
O 0.4309 0.5805 0.4155  1 P 1.51
O 0.4330 0.9777 0.7753  1 P 1.52
O 0.4385 0.7072 0.7595  1 P 1.57
O 0.4726 0.3332 0.5974  1 P 1.55
O 0.4794 0.7703 0.1000  1 P 1.54
O 0.4862 0.5335 0.9100  1 P 1.49
O 0.5613 0.8532 0.2655  1 P 1.55
O 0.5732 0.1318 0.7668  1 P 1.56
O 0.5770 0.4157 0.7497  1 P 1.60
O 0.5845 0.5564 0.2647  1 P 1.59
O 0.6102 0.0422 0.0931  1 P 1.55
O 0.6151 0.6072 0.6017  1 P 1.55
O 0.6198 0.8948 0.6103  1 P 1.58
O 0.6269 0.3281 0.1065  1 P 1.51
O 0.7225 0.1317 0.2650  1 P 1.51

The challenges of traditional finance can be overcome using DeFi.

Current generation decentralized finance

Decentralized finance attempts to remove counterparty risk by making some changes to traditional finance. However, Smart contracts are not aware of real-world data. Another entity called “oracle” must be introduced to report real-world data to the DeFi smart contracts. The oracle is often a centralized entity. This pretty much erases the biggest benefit of the DeFi.

Putting entire architecture in a single monolithic application is very time and resource-intensive. This has lead to long development times and many security holes in DeFi apps. Many applications end up reinventing the wheel and rewriting many parts of the application, which may have already been developed by other application developers.

Next-gen DeFi using RealityAware tokens

Most decentralized applications depend on real-world data. Since ERC20 tokens do not have access to real-world data, their use-cases are limited without complex logic to acquire that real-world data. RealityAware tokens are aware of real-world data and can perform various functions that depend on that data easily.

RealityAware tokens are new primitives for creating next-gen DeFi applications. These can be used for many use cases without even writing a smart contract.

Complex contracts and applications can be developed using them. These primitives are standards with ready-made audited code. This means the applications created with them should not take a long time to audit and debug.

Reality aware tokens use Razor Network Oracle to get data from the real world. The logic is built-in within the tokens, and no additional effort is required to develop an application and integrate it with an oracle solution. Razor network is truly decentralized and solves the counterparty risk.

Simple bet using RealityAware tokens

The above example shows how simple bet can be made using RealityAware tokens and without writing a new smart contract.

# 1
This record from the Materials Project database describes a relaxed structure of MoPd3. The functional is r²SCAN.

Calculated values
ΔH_f (0 K) ... -0.026 eV per atom
Space-group type ... R-3m, No. 166
E ... -95.1 eV per cell

Cell lengths 9.2025, 9.2025, 9.2025 Å; angles 17.30, 17.30, 17.30 degrees
With the nearest neighbours (Å) after each atom.
Sites, in units of the cell vectors:
Mo: 0.0000 0.0000 0.0000  6 Pd 2.73, 6 Mo 2.77
Pd: 0.2519 0.2519 0.2519  3 Mo 2.73, 9 Pd 2.77-2.82
Pd: 0.5000 0.5000 0.5000  12 Pd 2.77-2.82
Pd: 0.7481 0.7481 0.7481  3 Mo 2.73, 9 Pd 2.77-2.82

***

# 2
This record from the Materials Project database describes a relaxed structure of Ti2MoPd. The functional is r²SCAN.

Calculated values
ΔH_f (0 K) ... -0.395 eV per atom
Space-group type ... Fm-3m, No. 225
E ... -76.5 eV per cell

Cell lengths 4.4365, 4.4365, 4.4365 Å; angles 60.00, 60.00, 60.00 degrees
With the nearest neighbours (Å) after each atom.
Sites, in units of the cell vectors:
Ti: 0.2500 0.2500 0.2500  4 Mo 2.72, 4 Pd 2.72
Ti: 0.7500 0.7500 0.7500  4 Mo 2.72, 4 Pd 2.72
Mo: 0.5000 0.5000 0.5000  8 Ti 2.72
Pd: 0.0000 0.0000 0.0000  8 Ti 2.72

***

# 3
This record from the Materials Project database describes a relaxed structure of PrMo6S8. The functional is r²SCAN.

Calculated values
ΔH_f (0 K) ... -1.066 eV per atom
Space-group type ... R-3, No. 148
E ... -266.1 eV per cell

Cell lengths 6.5423, 6.5424, 6.5424 Å; angles 89.00, 89.00, 89.00 degrees
With the nearest neighbours (Å) after each atom.
Sites, in units of the cell vectors:
Pr: 0.0000 0.0000 0.0000  8 S 2.81-3.05
Mo: 0.7701 0.5802 0.4374  5 S 2.40-2.61, 2 Mo 2.65
Mo: 0.4374 0.7701 0.5802  5 S 2.40-2.61, 2 Mo 2.65
Mo: 0.5802 0.4374 0.7701  5 S 2.40-2.61, 2 Mo 2.65
Mo: 0.2299 0.4198 0.5626  5 S 2.40-2.61, 2 Mo 2.65
Mo: 0.5626 0.2299 0.4198  5 S 2.40-2.61, 2 Mo 2.65
Mo: 0.4198 0.5626 0.2299  5 S 2.40-2.61, 2 Mo 2.65
S: 0.7559 0.7559 0.7559  3 Mo 2.40
S: 0.2441 0.2441 0.2441  3 Mo 2.40
S: 0.2525 0.6244 0.8744  4 Mo 2.44-2.61
S: 0.8745 0.2525 0.6244  4 Mo 2.44-2.61
S: 0.6244 0.8744 0.2525  4 Mo 2.44-2.61
S: 0.7475 0.3756 0.1256  4 Mo 2.44-2.61
S: 0.1255 0.7475 0.3756  4 Mo 2.44-2.61
S: 0.3756 0.1256 0.7475  4 Mo 2.44-2.61

***

# 4
This record from the Materials Project database describes a relaxed structure of MoPt2. The functional is r²SCAN.

Calculated values
ΔH_f (0 K) ... -0.397 eV per atom
Space-group type ... Immm, No. 71
E ... -130.2 eV per cell

Cell lengths 2.7575, 3.9641, 4.8069 Å; angles 114.35, 106.67, 90.00 degrees
With the nearest neighbours (Å) after each atom.
Sites, in units of the cell vectors:
Mo: 0.0000 0.0000 0.0000  2 Mo 2.76, 10 Pt 2.77-2.80
Pt: 0.6633 0.6633 0.3267  7 Pt 2.72-2.81, 5 Mo 2.77-2.80
Pt: 0.3367 0.3367 0.6733  7 Pt 2.72-2.81, 5 Mo 2.77-2.80

***

# 5
This record from the Materials Project database describes a relaxed structure of Mo3Pt. The functional is r²SCAN.

Calculated values
ΔH_f (0 K) ... -0.103 eV per atom
Space-group type ... Pm-3n, No. 223

Features of RealityAware tokens

RealityAware tokens are modified ERC20/ERC721 contracts, which can allow and disallow certain functions depending on real-world data.

Some of such functions are:

  • transfer
  • tranferFrom
  • approve
  • wrap
  • unwrap
  • transferCollateral

As you can see, these tokens can be used to wrap or unwrap any supported tokens. In this way, any ERC20/ERC721 tokens can be wrapped in RealityAware tokens to make those tokens sensitive to the real-world data. Functions will be added/removed before finalizing the standard.

Building complex applications using RealityAware tokens

Using RealityAware tokens, complex applications can be built without a lot of effort.

Here is an example where Alice and Bob, and many other participants are betting where Donald Trump wins the US 2020 election.

Prediction market using RealityAware tokens
  1. Alice wraps DAI in Trump-win token contract and mints Trump-win RealityAware tokens.
  2. Bob does the same with Trump-Lose token contract to mint Trump-lose tokens
  3. Both Trump-win and Trump-lose contracts are reality aware token contracts.
  4. Let’s assume Trump wins. In this case, anyone can transfer the locked collateral from the Trump-lose contract to the Trump-win contract.
  5. Hence, Trump-lose tokens become worthless and Trump-win tokens increase in value since more collateral is backing is token.
  6. Since the event is resolved, the tokens can be redeemed for the collateral backing them.

We will publish the standard along with the sample code soon. Please follow us on Github and telegram for updates.



Hrishikesh Huilgolkar
Razor Network

Founder @razor-network. Decentralized oracles for the decentralized future.